Applying Behaviorism Learning Theory In The Clinical Environment


Critically analyse the Behaviourism Theory and discusses how it can be utilised for facilitating learning in the Clinical Environment.

Learning theories act as the prime point of guidance that educational system utilises under different settings for planning a suitable teaching session. The educators base their teaching on the principles of these theories and apply their knowledge in an effective manner to adjust to the needs to the learners and different learning situations. Some of the commonly known learning paradigms include behaviorism, cognitivism, humanism, constructivism, and organizational learning (Pritchard 2013)Applying Behaviorism Learning Theory In The Clinical Environment. Behaviorism learning theory works in the mental–motive area as the application lies in guiding teachers to evaluate the clinical performance of professionals. Learning at the expertise level is explained by behaviorisms which are from the expected learning outcomes of the nursing (Kolb 2014). This learning paradigm can be applied in clinical learning setting to promote optimal learning for the students. There are a number of challenges to learning and teaching in such an environment. Having an in-depth knowledge of the contemporary educational approaches to learning facilitates learning. In addition, a positive workforce culture is also promoted. The theory underpins the decisions taken up by the educators about how to go about the clinical teaching process. Behaviorism learning theory has been long associated with the clinical learning experience of nurses across diverse settings (Rich 2013)Applying Behaviorism Learning Theory In The Clinical Environment.


The present essay critically analyses the behaviorism theory and discusses how it can be utilized for facilitating learning in the clinical environment. The paper describes the behaviorism learning theory and critically analyses the application of the theory within the clinical environment. It also suggests ways of how the theory can be used for facilitating the learning of nurses within the clinical environment for assisting the development of a learning culture.

Behaviorism is one learning theory that has the focus on an objectively observable behavior. Theorists of this learning approach define learning to be an acquisition of behaviors that are newly acquired on the basis of environmental conditions. The basis of behaviorist learning theory is the perception of learning as the product of stimulus conditions (S) and responses (R). It is therefore also termed as S-R model of learning. The learning process in this regard becomes simple. Educators utilizing this approach is supposed to observe the responses of learners and then consider doing manipulations in the environment so that intended changes can be brought about. Behaviorist theory is widely used in diverse domains, including healthcare (Klein and Mowrer 2014)Applying Behaviorism Learning Theory In The Clinical Environment.

For modifying the responses and attitudes of the learners, the educators are to bring alteration in the stimulus conditions in the environment. The other process can be changing the results of the occurring response. Motivation is perceived as the willingness and eagerness to bring a reduction in some drive; therefore individuals who are satiated, complacent or satisfied have very less motivation to bring about changes in their learning process. Much practice is needed to bring about the transfer of initial learning situation to a different setting. This can be aided by a common feature between stimuli and responses in the present and future learning situations. Such form of learning is based mostly on respondent conditioning and operant conditioning procedures (Olson 2015)Applying Behaviorism Learning Theory In The Clinical Environment.

Respondent conditioning uses a stimulus condition wherein a neutral stimulus (NS) is paired with a unconditioned stimulus (UNS). Learning can take place as desired when the newly conditioned stimulus (CS) is shows an association with the conditioned response (CR). Operant conditioning has the emphasis on alteration of a behavior by reinforcing it. The reinforcer is any event or stimulus that is applied after observing the response for strengthening the chances of reoccurrence of the response. With the reinforcement of certain responses, behaviors can be made to decrease or increase. Reinforcement might be of two distinct types; positive and negative.  A positive reinforcement is typically the application of a pleasant stimulus. It is a a reward that increases the chances of reoccurrence of the response to a great extent. Negative reinforcement is ideally the application of an unpleasant stimulus. It is a punishment that endures that an undesirable response does not exist in future (Montin and Koivisto 014). Keating (2014) pinpoint that the learning theory of behaviorism is easy to be understood by educators since it is dependent on observable behavior and universal laws of behavior are taken into account. Both the positive and negative reinforcement techniques are effective, relying on the nature of the learning setting Applying Behaviorism Learning Theory In The Clinical Environment.

From a rich pool of literature, it has been indicated that behaviorism theory can be employed in clinical settings for promoting behavior of nurse learners. Behavioral contracts are beneficial when brining about a change in the behavior of the student. For example, learners in the clinical settings might not be completing the assignments assigned to them. In such cases, the educator might design a contract that encourages the student to complete their assignments. Additional help from the educator might be one such contract. A second instance might be a student misbehaving in the classroom setting. A behavioral contract can be set up by mutual consent of both the learner and the educator for minimizing the distractions (Schwarz 2017). McCormack, Manley and Titchen (2013) highlight the key aspects of applying the behaviorism learning theory into the clinical learning environment. Students in a clinical setting have different functions and roles to perform. The student-faculty relationship can be taken to the advanced level with the conditioning model of behaviorism theory is applied correctly. Foundational to a teacher’s understanding of the clinical experience of a student can be best understood by the experiences and feelings of students. If an instructor is pleasant and has a positive attitude towards teaching, the students become increasingly concerned about their performance. Students have often reported that their aims and objectives for clinical practice have been enhanced under such cases. Satisfaction of the learners is important to facilitate the learning process. Applying Behaviorism Learning Theory In The Clinical Environment

Masters (2015) has to say that the behavioral interventions require the clinicians to have a set of skills in order to respond to the stimuli. Since an assumption is to be made that the professionals are equipped with the qualities and skills for undertaking a behavioral intervention, the issue of the success of the theory comes under doubt. Also, behaviorism leaning style does not prepare the students in a clinical setting to exhibit creative thinking or problem solving skills. When this learning style is applied, students are to only be instructed about what they are supposed to do. They are not encouraged to improve their actions or consider taking initiatives to bring about change. The student can only be prepared for performing automatic responses or recall basic duties and perform tasks accordingly. For example, a professional who is being taught the process of administering an injection to the patient would only learn the step of doing so. There would be no initiatives taken to understand the underlying principles and the consequences of not adhering to any certain step of the complete procedure.

Dorman and Banks (2016) argue that though the behaviorist theory or behaviorism is an easy and simple theory of learning that encourages objective and clear analysis of learner response, there are some cautions and criticisms that are to be considered. The prime issue related to the application of this learning theory is that it is predominantly a teacher-centered model and therefore the learners can be easily manipulated since they have a passive role to play. A critical ethical question therefore comes into light in this regard about how the decision about desirable behavior would be taken, and by whom. Under many circumstances, the desired response of the learners is cooperation and conformity for making the task of teachers profitable or easier. The second issue that arises is that main focus of the theory is on external incentives, and such extrinsic rewards have chances of promoting and reinforcing materialism instead of any self-initiation or intrinsic satisfaction. The love and compassion for learning are often lacking in such cases. Glenn et al. (2016) further critics the theory by stating that research evidence that supports and promote behaviorist theory are not always applicable to normal human conditions. The theory can moreover efficiently condition learners towards carrying out tasks in particular ways. Lastly, the theory is a one-dimensional approach, and the necessity of a punishment’s is not justified. Applying Behaviorism Learning Theory In The Clinical Environment

Bradshaw and Hultquist (2016) highlight the application of the behaviorist learning theory in the field of nursing education. As per the authors, the educators can make the provision for access to desired skills through carrying out the procedure of trial and errors. With the help of this method that is harmless, the students can gain desired nursing skills. If the results are satisfying, then the skills are strengthened. In case the results are unpleasant, the students who a tendency to find other possible alternative answers through trial and error method. The aim is to finally find the correct answer. The learning theory assumes that the minds of humans are made of different forces, such as judgement, attention, argument and memory. Such forces can be effectively strengthened through practicing. This theory has been found to be applied in the field of nursing. Nursing students in a clinical learning environment face diverse points, each needing specialized combined forces. Hence, it is all-inclusive without being overpowering to combine all such forces collectively. As per the theory, if the desired behavior is reinforced, chances are high that recurrent onset would be achieved and the learning goals would be finally reached. This is the function of agent conditioning. Such conditioning looks into how behaviors can be changed appropriately, and application lies in changing the academic behavior of students within the educational environment (Oermann and Gaberson 2016)Applying Behaviorism Learning Theory In The Clinical Environment.

Wall (2016) in this regard that the method of agent conditioning can be suitably applied when the aim is to teach clinical skills to nurses. At the initial stage, the educator must encourage the initial behaviors of each procedure for implementing the procedures in a complete manner. Later, the educator must encourage them to completely comprehend and put into practice the accurate procedures. Establishment and maintenance of behavioral conduct are enhanced by such encouragement. Educators can consider teaching each procedure through the provision of information provided to the learner before the procedure is started. The results might be pleasing and desirable such as admiration of the peers. Every positive or negative behavior has the basis on the understanding level of the learner from consequences of behavior.

(Molecular data that have nothing to do with the entry)
The following is a DFT calculation (ωB97M-V with the def2-TZVPD basis set) of a structure of composition C37H45Br4N4O3SiSn.

As for the HOMO energy: -3.8 eV. Its charge is -1. The frontier orbital gap is 6.19 eV. The value obtained for the LUMO energy is 0.08762 Ha. For the total energy, the calculation gives -345084.005 eV.

Element x y z (Å)
Sn -0.21 -0.73 0.51
C -0.81 2.72 2.42
C 0.71 2.89 2.30
N 1.44 1.63 2.20
C 2.15 1.23 3.41
C 1.26 0.58 4.47
N 0.74 -0.69 4.00
C -0.03 -1.52 4.91
C -1.17 -0.79 5.63
C -2.43 -0.42 4.83
N -2.19 -0.01 3.45
C -3.32 0.72 2.90
C -3.33 0.83 1.37
N -2.07 1.25 0.75
C -1.62 2.61 1.11
H -1.20 3.58 2.98
H -0.99 1.81 3.00
H 1.06 3.43 3.19
H 0.94 3.52 1.43
H 2.10 1.69 1.43
H 2.66 2.09 3.87
H 2.92 0.51 3.11
H 0.43 1.26 4.68
H 1.85 0.47 5.40
H 1.53 -1.24 3.67
H 0.61 -1.95 5.70
H -0.45 -2.35 4.33
H -0.75 0.12 6.08
H -1.49 -1.43 6.46
H -2.89 0.42 5.35
H -3.15 -1.25 4.87
H -2.02 -0.84 2.89
H -3.31 1.73 3.34
H -4.29 0.26 3.18
H -4.15 1.51 1.11
H -3.55 -0.16 0.97
H -2.21 1.20 -0.26
H -2.50 3.26 1.20
H -1.02 2.98 0.27
Br -5.61 -5.62 -0.69
C -4.01 -4.63 -0.85
C -3.09 -4.91 -1.85
Br -3.42 -6.32 -3.08
C -1.91 -4.16 -1.93
Br -0.60 -4.56 -3.24
C -1.61 -3.12 -1.05
O -0.52 -2.42 -1.10
C -2.56 -2.83 -0.01
O -2.30 -1.87 0.83
C -3.73 -3.60 0.06
Br -4.89 -3.19 1.50
C 3.73 -1.64 -4.55
C 2.56 -2.24 -4.10
C 1.64 -1.51 -3.37
C 1.84 -0.15 -3.07
C 3.00 0.44 -3.57
C 3.94 -0.29 -4.29
Si 0.51 0.72 -1.98
C -0.88 1.03 -3.28
C -0.87 0.46 -4.56
C -1.93 0.62 -5.43
C -3.05 1.35 -5.06
C -3.09 1.92 -3.80
C -2.03 1.75 -2.93
C 1.28 2.47 -1.70
C 0.61 3.67 -1.93
C 1.17 4.90 -1.59
C 2.43 4.96 -1.02
C 3.12 3.78 -0.79
C 2.55 2.56 -1.12
H 4.47 -2.21 -5.10
H 2.36 -3.29 -4.32
H 0.73 -1.99 -3.02
H 3.17 1.50 -3.42
H 4.83 0.20 -4.67
H -0.01 -0.12 -4.86
H -1.88 0.18 -6.42
H -3.88 1.46 -5.74
H -3.96 2.49 -3.49
H -2.09 2.20 -1.94
H -0.37 3.65 -2.40
H 0.61 5.81 -1.77
H 2.87 5.92 -0.77
H 4.11 3.82 -0.35
H 3.12 1.65 -0.94
C 4.58 -2.38 -0.52
C 3.13 -2.50 -0.14
C 2.48 -3.83 -0.36
O 2.55 -1.56 0.38
H 5.17 -3.14 -0.01
H 4.95 -1.39 -0.28
H 4.67 -2.55 -1.60
H 3.14 -4.55 -0.84
H 1.59 -3.66 -0.97
H 2.11 -4.22 0.59

---

The following is a DFT calculation (ωB97M-V with the def2-TZVPD basis set) of a cluster of 2 separate species, C3H5NOS in total in a non-equilibrium geometry.

As for the HOMO energy: -8.7 eV. The frontier orbital gap is 8.17 eV. The calculation puts the energy relative to the best compared isomer or geometry (same formula, charge and spin) at 6.472 eV. The value obtained for the LUMO energy is -0.01941 Ha. For the total energy, the calculation gives -17558.796 eV.

Element x y z (Å)
C -0.23 -0.32 -0.12
C 0.94 0.08 -0.90
C 1.29 1.41 -1.06
H 1.74 1.51 0.99
H -0.65 -0.33 1.98
H 1.58 -0.65 -1.38
H 2.11 1.79 -1.86
H 0.90 2.18 -0.39
N -0.02 0.15 1.21
O 0.31 1.42 1.52
S -1.25 -1.50 -0.47

---

The following is a DFT calculation (ωB97M-V with the def2-TZVPD basis set) of an isolated molecule of CH2Cl2O2P2 in a non-equilibrium geometry.

One instance of positive reinforcement practice can be attributed to a scenario when a student nurse is about to gain lessons about aseptic dressing techniques. The educator might provide praises at every step while the student is learning; preparation of the patient, handwashing and so on. The behavior of the nurse student can be reformed in this manner until the complete procedure is learnt by the student. The praise is to be given for achieving the correct performance and becoming intermittent. Another instance can be teaching how to administer an injection to the patient. The educator can provide support and praises by exclaiming that the nurse had done a good job in pulling back the syringe or handling patient pain (Schilling 2016)Applying Behaviorism Learning Theory In The Clinical Environment.


From the above discussion, it can be concluded that the behaviorist learning theory is predominantly valuable for learner when they need to build up competencies and demonstrate technical skills. The learning theory has been found to be more advantageous when the learner aims at bringing about a change in the behavior as the result of any form of educational intervention. Behaviorist learning principle has gained prominence in nursing education. The strengths of behaviorism theory encompass the fact that the basis of the theory is on observable behaviors. Teachers can, therefore, collect and quantify the information in relation to the degree of learning demonstrated by the students. Maladaptive learning behaviors can be changed through the application of this learning process. Opponents have criticized the theory by stating that the approach is profoundly one-dimensional and there is no scope for its application if there is an absence of reinforcement. In addition, mind activity is disregarded when this learning approach is considered. It is to be finally stated that supporting learning-centered approaches is solely dependent on the clinical situation and the nursing cohort who are the learners under that particular situation Applying Behaviorism Learning Theory In The Clinical Environment